TI’s dual-mode Bluetooth stack enables Bluetooth + Bluetooth Low Energy and is comprised of Single Mode and Dual Mode offerings implementing the Bluetooth 4.0/4.1/4.2 specification. The Bluetooth stack is fully Bluetooth Special Interest Group (SIG) qualified, certified and royalty-free, provides simple command line sample applications to speed development, and upon request has MFI capability.
(Misplaced materials data)
~~~
Diffraction record for CeSe2. The powder XRD pattern is computed, not measured: it uses a crystal structure in the Materials Project, relaxed with GGA-PBE and a wavelength of 1.5418 Å.
Kinematic intensities with the Lorentz-polarization factor, no thermal factor.

Structure:
Lattice parameters (Å, degrees): 7.985 16.003 24.795 90.00 90.00 90.00
Space group Fddd (No. 70, origin choice 2)
Inequivalent atoms, fractional coordinates:
Ce  0.125  0.125  0.312 [16 per cell]
Se  0.000  0.000  0.000 [16 per cell]
Se  0.125  0.313  0.625 [16 per cell]

The 12 most intense peaks (5 to 70 degrees two-theta), most intense first:
hkl 1 1 3, 16.40°, rel. 100.0
hkl 0 2 2, 13.17°, rel. 83.6
hkl 1 3 5, 26.97°, rel. 43.2
hkl 1 1 1, 12.89°, rel. 23.2
hkl 2 2 8, 38.45°, rel. 19.7
hkl 2 0 6, 31.15°, rel. 14.4
hkl 0 4 8, 36.68°, rel. 13.6
hkl 1 3 11, 45.12°, rel. 12.4
hkl 3 5 3, 45.67°, rel. 10.3
hkl 0 8 4, 47.83°, rel. 9.4
hkl 2 2 2, 25.96°, rel. 9.2
hkl 3 3 1, 37.96°, rel. 9.1

~~~~~

(1)
Computed powder diffractogram
Compound: Zn3CdO4
Radiation: CuKα
Structure: a GGA-PBE-relaxed structure
Kinematic intensities with the Lorentz-polarization factor, no thermal factor.

Principal peaks in the range 2θ from 10° to 90°, sorted by position:
2theta  I_rel
30.69  47
32.49  34
34.83  100
45.29  22
52.01  5
54.55  32
59.48  29
64.95  25
66.37  15
84.96  10

Atomic structure:
```
data_Zn3CdO4
_chemical_formula_sum 'Zn3 Cd1 O4'
_cell_length_a 3.3643
_cell_length_b 3.3643
_cell_length_c 11.0241
_cell_angle_alpha 90.00
_cell_angle_beta 90.00
_cell_angle_gamma 120.00
_space_group_name_H-M_alt 'P 3 m 1'
_space_group_IT_number 156
_space_group_name_Hall 'P 3 -2"'
loop_
_atom_site_label
_atom_site_fract_x
_atom_site_fract_y
_atom_site_fract_z
Zn1 0.0000 0.0000 0.0000
Zn2 0.0000 0.0000 0.4732
Zn3 0.6667 0.3333 0.2367
Cd1 0.6667 0.3333 0.7415
O1 0.0000 0.0000 0.1818
O2 0.0000 0.0000 0.6530
O3 0.6667 0.3333 0.4181
O4 0.6667 0.3333 0.9451
```

=====

(2)
Computed powder diffractogram
Compound: Ba3Al4Sb6O21
Radiation: CuKα
Structure: a GGA-PBE-relaxed structure
Kinematic intensities with the Lorentz-polarization factor, no thermal factor.

Principal peaks in the range 2θ from 10° to 90°, sorted by position:
2theta  I_rel
20.21  15
22.41  68
23.84  100
24.98  31
26.53  20
30.52  19
32.63  28
33.28  61
40.53  20
45.79  18

Atomic structure:
```
data_Ba3Al4Sb6O21
_chemical_formula_sum 'Ba6 Al8 Sb12 O42'
_cell_length_a 17.651
_cell_length_b 5.377
_cell_length_c 15.877
_cell_angle_alpha 90.00
_cell_angle_beta 118.19
_cell_angle_gamma 90.00
_space_group_name_H-M_alt 'C 1 2 1'
_space_group_IT_number 5
_space_group_name_Hall 'C 2y'
loop_
_atom_site_label
_atom_site_fract_x
_atom_site_fract_y
_atom_site_fract_z
Ba1 0.000 0.000 0.000
Ba2 0.160 0.591 0.342
Al1 0.085 0.060 0.477
Al2 0.090 0.517 0.870
Sb1 0.036 0.093 0.766
Sb2 0.161 0.570 0.605
Sb3 0.187 0.539 0.102
O1 0.000 0.097 0.500
O2 0.004 0.286 0.848
O3 0.035 0.741 0.775
O4 0.053 0.176 0.356
O5 0.114 0.680 0.148
O6 0.121 0.752 0.481
~~~
The stack works with the following devices:
1 For more details refer to the table
The MCU SDKs (CC256XMSPBTBLESW, CC256XM4BTBLESW, CC256XSTBTBLESW) work with all CC256x EM boards (CC256XQFNEM and CC2564MODNEM) while the Linux SDK works both WL18xx modules (WL1835MODCOM8b, WL1837MODCOM8i) and CC256x EM boards. Both the CC256x EM boards and WL18xx modules include TI's seventh-generation Bluetooth core and provide a product-proven solution that is Bluetooth 4.1/4,2 compliant. The devices provide best-in-class RF performance with a transmit power and receive sensitivity that provides range of about 2X compared to other BLE-only solutions. Furthermore, TI’s power-management hardware and software algorithms provide significant power savings in all commonly used Bluetooth BR/EDR/LE modes of operation.
Software development kit | Supported devices | BT SIG qualified | Supported IDE | Environment | Evaluation devices |
Bluetooth controller | Host | Bluetooth EVM | Host EVM |
CC256XMS432BTBLESW | CC2560 CC2564 CC2564MODN | Any MSP432 MCU with Flash>= 128KB and RAM>= 8KB | QDID 69887 QDID 69886 | CCS IAR KEIL | No OS | BOOST- CC2564MODA | MSP-EXP432P401R LaunchPad (optional Audio Codec: CC3200AUDBOOST) |
CC256XMSPBTBLESW | CC2560 CC2564 CC2564MODN | Any MSP430 MCU with Flash>= 128KB and RAM>= 8KB | QDID 37180 QDID 42849 | CCS IAR | No OS | CC256XQFNEM CC2564MODNEM | MSP-EXP430F5529 MSP-EXP430F5438 |
CC256XM4BTBLESW | CC2560 CC2564 CC2564MODN | Any TM4C MCU with Flash>= 128KB | QDID 37180 QDID 42849 | CCS KEIL IAR | RTOS No OS | CC256XQFNEM CC2564MODNEM | DK-TM4C123G DK-TM4C129 |
CC256XSTBTBLESW | CC2560 CC2564 CC2564MODN | Other MCUs | QDID 69887 QDID 69886 | KEIL IAR | RTOS No OS | CC256XQFNEM CC2564MODNEM | Other MCU EVMs |
TI-BT-STACK-LINUX-ADDON | WL1835MOD * WL1837MOD | Ubuntu 12.04 Ubuntu 14.04 | QDID 37180 QDID 42849 | CCS for Linux development | Linux | WL1835MODCOM8B WL1837MODCOM8i | AM437xEVM AM335xEVM TMDXEVM3358 TMDSSK3385 BEAGLEBK |
~~~
[1]
Starting from a structure optimized by DFT (PBE), the powder diffraction line list of TmB2C was simulated for copper Kα.
Neutral-atom scattering factors, no anomalous dispersion.

Top 10 peaks for 10 to 80 degrees two-theta, sorted by position:
| d (Å) | intensity |
| --- | --- |
| 3.647 | 62 |
| 3.378 | 74 |
| 3.022 | 81 |
| 2.478 | 81 |
| 2.327 | 100 |
| 1.998 | 24 |
| 1.639 | 37 |
| 1.561 | 24 |
| 1.495 | 44 |
| 1.219 | 28 |

Cell and atoms:
Unit cell a=6.7563 b=6.7563 c=7.2935 alpha=90.00 beta=90.00 gamma=90.00
Atoms (fractional coordinates):
Tm: 0.1908 0.3092 0.2500
Tm: 0.1908 0.3092 0.7500
Tm: 0.3092 0.8092 0.2500
Tm: 0.3092 0.8092 0.7500
Tm: 0.6908 0.1908 0.2500
Tm: 0.6908 0.1908 0.7500
Tm: 0.8092 0.6908 0.2500
Tm: 0.8092 0.6908 0.7500
B: 0.0344 0.8475 0.0000
B: 0.0939 0.5969 0.0000
B: 0.0969 0.5939 0.5000
B: 0.1525 0.0344 0.5000
B: 0.3475 0.5344 0.5000
B: 0.4031 0.0939 0.5000
B: 0.4061 0.0969 0.0000
B: 0.4656 0.3475 0.0000
B: 0.5344 0.6525 0.0000
B: 0.5939 0.9031 0.0000
B: 0.5969 0.9061 0.5000
B: 0.6525 0.4656 0.5000
B: 0.8475 0.9656 0.5000
B: 0.9031 0.4061 0.5000
B: 0.9061 0.4031 0.0000
B: 0.9656 0.1525 0.0000
C: 0.0402 0.8224 0.5000
C: 0.1776 0.0402 0.0000
C: 0.3224 0.5402 0.0000
C: 0.4598 0.3224 0.5000
C: 0.5402 0.6776 0.5000
C: 0.6776 0.4598 0.0000
C: 0.8224 0.9598 0.0000
C: 0.9598 0.1776 0.5000



[2]
Starting from a structure optimized by DFT (PBE), the powder diffraction line list of Rb2Sn2Hg3S8 was simulated for copper Kα.
Neutral-atom scattering factors, no anomalous dispersion.

Top 10 peaks for 10 to 80 degrees two-theta, sorted by position:
| d (Å) | intensity |
| --- | --- |
| 6.065 | 42 |
| 4.201 | 100 |
| 4.027 | 59 |
| 3.680 | 43 |
| 3.425 | 58 |
| 3.386 | 78 |
| 3.202 | 46 |
| 2.915 | 39 |
| 2.561 | 41 |
| 2.401 | 47 |

Cell and atoms:
Unit cell a=10.3356 b=6.7413 c=13.8185 alpha=90.00 beta=97.67 gamma=90.00
Atoms (fractional coordinates):
Rb: 0.2220 0.1597 0.3081
Rb: 0.2220 0.3403 0.8081
Rb: 0.7780 0.6597 0.1919
Rb: 0.7780 0.8403 0.6919
Sn: 0.2851 0.6831 0.0756
Sn: 0.2851 0.8169 0.5756
Sn: 0.7149 0.1831 0.4244
Sn: 0.7149 0.3169 0.9244
Hg: 0.0000 0.0000 0.0000
Hg: 0.0000 0.5000 0.5000
Hg: 0.4979 0.7039 0.3797
Hg: 0.4979 0.7961 0.8797
Hg: 0.5021 0.2039 0.1203
Hg: 0.5021 0.2961 0.6203
S: 0.0812 0.7050 0.6343
S: 0.0812 0.7950 0.1343
S: 0.2662 0.6959 0.4086
S: 0.2662 0.8041 0.9086
S: 0.2754 0.1768 0.5748
S: 0.2754 0.3232 0.0748
S: 0.4684 0.6811 0.6774
S: 0.4684 0.8189 0.1774
S: 0.5316 0.1811 0.8226
S: 0.5316 0.3189 0.3226
S: 0.7246 0.6768 0.9252
S: 0.7246 0.8232 0.4252
S: 0.7338 0.1959 0.0914
S: 0.7338 0.3041 0.5914
S: 0.9188 0.2050 0.8657
S: 0.9188 0.2950 0.3657



[3]
Starting from a structure optimized by DFT (PBE), the powder diffraction line list of CsHfMg14O15 was simulated for copper Kα.
Neutral-atom scattering factors, no anomalous dispersion.

Top 10 peaks for 10 to 80 degrees two-theta, sorted by position:
| d (Å) | intensity |
| --- | --- |
| 6.805 | 100 |
| 5.808 | 29 |
| 3.553 | 58 |
| 3.516 | 42 |
~~~
* The Linux add-on contains pre-built libraries that were compiled with Linaro GCC 4.7 toolchain. The full list of supported platforms can be found in the TI-BT-STACK-LINUX-ADDON page.